Wednesday, August 17, 2011

Sky TV interviews Room 11

2 Sky TV people came to Room 11 today to interview some of the Room 11 students and Miss Pearse. They filmed us and asked us questions about our 'adopted' country that were are researching and the Rugby World Cup. Amy told them about Fiji and told them that in 2005 on tour Fiji got defeated by NZ 91-0. Josh and Jonty talked about France and said about the landmarks in France. Once they have finished editing, they will put the short interview on the Rugby World Cup website.

Tuesday, July 12, 2011

Special Guest Arrives at Greytown School

The Rugby World Cup, the Webb Ellis Cup, came to Greytown School. The security guy (John) was close by to make sure no one touched the cup. Room 11 was allowed to have their photo taken. That last time New Zealand had the Webb Ellis Cup was in 1987.

Tuesday, July 5, 2011

Google SketchUp New Users 4: Create a Chair

We are learning to use SketchUp, to help us draw our evacuation kit. This YouTube was helpful because it helps us to draw in 3D. It showed us how to draw a chair, using the push and pull tool, the measuring, follow me, eraser, rotate, zoom, and curve tools

/*
The following is a DFT calculation (PBE) of a relaxed structure of Cd2CuHgPb.

Properties
The calculation puts the excess energy over the best structure of this formula in the dataset at 0 meV per atom.

abc: 5.129 5.129 5.157
angles: 90.00 90.00 90.00
Atoms (fractional coordinates):
Cu 0.000 0.000 0.000
Cd 0.000 0.500 0.000
Cd 0.500 0.000 0.000
Hg 0.500 0.500 0.500
Pb 0.000 0.000 0.500

The following is a DFT calculation (PBE) of a relaxed structure of Cd2CuHgPb.

Properties
The calculation puts the excess energy over the best structure of this formula in the dataset at 30 meV per atom.

abc: 5.054 5.054 5.053
angles: 90.00 90.00 90.00
Atoms (fractional coordinates):
Cu 0.000 0.000 0.000
Cd 0.500 0.000 0.000
Cd 0.000 0.500 0.000
Hg 0.000 0.000 0.500
Pb 0.500 0.500 0.500

Number 1: E -9.11 eV per cell. Number 2: E -8.96 eV per cell.

=====

1.
Material: YAg2I
Method: DFT, GGA-PBE
State: optimized geometry

Values from the calculation:
Formation energy (no corrections) (eV per atom): 0.075
Space-group type: Fm-3m
Excess energy over the best structure of this formula in the dataset (eV per formula unit): 0.886

a = 5.231 Å, b = 5.231 Å, c = 5.231 Å
α = 60.00°, β = 60.00°, γ = 60.00°
Atoms (fractional coordinates):
I  0.500  0.500  0.500
Ag  0.750  0.750  0.750
Ag  0.250  0.250  0.250
Y  0.000  0.000  0.000

---

2.
Material: TcSn2Mo
Method: DFT, GGA-PBE
State: optimized geometry

Values from the calculation:
Calculated formation energy (meV per atom): 158
Space-group type: Cmc2_1
Excess energy over the best structure of this formula in the dataset (eV per formula unit): 0.664

a = 4.532 Å, b = 9.653 Å, c = 7.255 Å
α = 90.00°, β = 90.00°, γ = 90.00°
Atoms (fractional coordinates):
Sn  0.500  0.409  0.266
Sn  0.500  0.100  0.133
Sn  0.500  0.900  0.633
Sn  0.000  0.909  0.266
Sn  0.000  0.400  0.633
Sn  0.500  0.591  0.766
Sn  0.000  0.600  0.133
Sn  0.000  0.091  0.766
Tc  0.000  0.200  0.353
Tc  0.000  0.800  0.853
Tc  0.500  0.700  0.353
Tc  0.500  0.300  0.853
Mo  0.500  0.192  0.541
Mo  0.000  0.692  0.541
Mo  0.500  0.808  0.041
Mo  0.000  0.308  0.041

---

3.
Material: TbPb3S4
Method: DFT, GGA-PBE
State: optimized geometry

Values from the calculation:
Formation energy (no corrections) (eV per atom): -0.815
Space-group type: Pmmn

a = 5.807 Å, b = 8.964 Å, c = 9.089 Å
α = 90.00°, β = 90.00°, γ = 90.00°
Atoms (fractional coordinates):
Pb  0.565  0.352  0.307
Pb  0.565  0.352  0.693
Pb  0.065  0.648  0.193
Pb  0.065  0.648  0.807
Pb  0.564  0.905  0.000
Pb  0.064  0.095  0.500
S  0.064  0.757  0.500
S  0.564  0.666  0.777
S  0.064  0.334  0.277
S  0.564  0.063  0.500
S  0.564  0.243  0.000
S  0.064  0.937  0.000
S  0.064  0.334  0.723
S  0.564  0.666  0.223
Tb  0.064  0.228  0.000
Tb  0.564  0.772  0.500

---

4.
Material: Be4AlCu5
Method: DFT, GGA-PBE
State: optimized geometry

Values from the calculation:
Calculated formation energy (meV per atom): -132
Space-group type: P4/mmm

a = 2.756 Å, b = 2.756 Å, c = 13.807 Å
*/

Monday, July 4, 2011

Ratu 5 o Hongongoi

In room 11 we have been learning how to ask people when is their birthday in Te Reo Maori and how to greet, ask and sign a persons name in New Zealand sign. The top photo shows us 'clapping' in NZ sign after showing the school how to ask and sign our names.
Below shows examples of us asking and answering the question, 'when is your birthday?'

## Here the entry breaks off for materials data
- - -
A plane-wave DFT calculation with PBE-GGA was carried out for a relaxed ZrSc2Se crystal.

Cell and atoms, written as CIF:
```
data_ZrSc2Se
_chemical_formula_sum 'Zr2 Sc4 Se2'
_symmetry_space_group_name_H-M 'I -4 m 2'
_symmetry_Int_Tables_number 119
_symmetry_space_group_name_Hall 'I -4 -2'
_cell_length_a 4.1839
_cell_length_b 4.1839
_cell_length_c 9.6096
_cell_angle_alpha 90.00
_cell_angle_beta 90.00
_cell_angle_gamma 90.00
loop_
_atom_site_label
_atom_site_fract_x
_atom_site_fract_y
_atom_site_fract_z
Zr1 0.0000 0.0000 0.0000
Sc1 0.0000 0.0000 0.5000
Sc2 0.0000 0.5000 0.7500
Se1 0.0000 0.5000 0.2500
```

The total energy comes out at -52.39 eV/cell. The value obtained for the size of the total moment is 0.00 μB per cell. Its raw formation energy is -36 kJ per mole of atoms.

=====

A plane-wave DFT calculation with PBE-GGA was carried out for a relaxed Ir3Se crystal.

Cell and atoms, written as CIF:
```
data_Ir3Se
_chemical_formula_sum 'Ir6 Se2'
_symmetry_space_group_name_H-M 'I 4/m m m'
_symmetry_Int_Tables_number 139
_symmetry_space_group_name_Hall '-I 4 2'
_cell_length_a 4.0226
_cell_length_b 4.0226
_cell_length_c 7.5879
_cell_angle_alpha 90.00
_cell_angle_beta 90.00
_cell_angle_gamma 90.00
loop_
_atom_site_label
_atom_site_fract_x
_atom_site_fract_y
_atom_site_fract_z
Ir1 0.0000 0.0000 0.0000
Ir2 0.0000 0.5000 0.2500
Se1 0.0000 0.0000 0.5000
```

The total energy comes out at -55.58 eV/cell. The value obtained for the size of the total moment is 0.00 μB per cell. Its raw formation energy is 55 kJ per mole of atoms.

=====

A plane-wave DFT calculation with PBE-GGA was carried out for a relaxed InCu3Au6 crystal.

Cell and atoms, written as CIF:
```
data_InCu3Au6
_chemical_formula_sum 'In4 Cu12 Au24'
_symmetry_space_group_name_H-M 'C m c 21'
_symmetry_Int_Tables_number 36
_cell_length_a 9.2896
_cell_length_b 12.6201
_cell_length_c 6.0735
_cell_angle_alpha 90.00
_cell_angle_beta 90.00
_cell_angle_gamma 90.00
loop_
_symmetry_equiv_pos_as_xyz
'x,y,z'
'-x,-y,z+1/2'
'-x,y,z'
'x,-y,z+1/2'
'x+1/2,y+1/2,z'
'-x+1/2,-y+1/2,z+1/2'
'-x+1/2,y+1/2,z'
'x+1/2,-y+1/2,z+1/2'
loop_
_atom_site_label
_atom_site_fract_x
_atom_site_fract_y
_atom_site_fract_z
In1 0.0000 0.2312 0.0000
Cu1 0.0000 0.4424 0.7534
Cu2 0.1369 0.1300 0.6535
Au1 0.0000 0.0390 0.3084
Au2 0.0000 0.3009 0.4380
Au3 0.2128 0.4725 0.4623
Au4 0.2463 0.3114 0.7793
```

The total energy comes out at -138.00 eV/cell. The value obtained for the size of the total moment is 0.00 μB per cell.

=====

A plane-wave DFT calculation with PBE-GGA was carried out for a relaxed Te4I3Br crystal.

Cell and atoms, written as CIF:
```
data_Te4I3Br
_chemical_formula_sum 'Te8 I6 Br2'
_symmetry_space_group_name_H-M 'I m m 2'
_symmetry_Int_Tables_number 44
_cell_length_a 6.4500
_cell_length_b 13.5946
_cell_length_c 8.7797
_cell_angle_alpha 90.00
_cell_angle_beta 90.00
_cell_angle_gamma 90.00
loop_
_symmetry_equiv_pos_as_xyz
'x,y,z'
'-x,-y,z'
'-x,y,z'
'x,-y,z'
'x+1/2,y+1/2,z+1/2'
'-x+1/2,-y+1/2,z+1/2'
- - -
## Here the entry continues

Tuesday, June 14, 2011

Raapa 15 o Pipiri

In Maths we are currently learning about 'Position and Orientation.' Today's lesson we were learning to know the points of a compass and the terms clockwise and anti-clockwise.
We had to stand up and turn in the direction Miss Pearse called out. It was fun, it was easy to understand because we had to move around.

Thursday, March 31, 2011

Hot Dog Fundraiser

4 girls for our class at Greytwon School girls have been busy raising money for victims of the Christchurch earthquake.
After spending a whole weekend baking and selling yummy goodies around the
town and raising $135.00 we decided to go a little bit further by having a
“Hot Dogs for Christchurch” lunch at school. We phoned local businesses and had wonderful donations from Premier Bacon, Bread Craft, Mela Juice and Moore Wilsons.
After sending home notices and school students we spent two lunch times making delicious American Hot Dogs. Almost all of the students got involved and some paid lots
more than we asked because they all wanted to help Christchurch. We raised $865.40
for the Hot Dogs that means we raised exactly $1000.00 for Christchurch.
We would like to thank Premier Bacon, Bread Craft, Mela Juice, Moore Wilsons and
the families of Greytown School students who got involved.

Thursday, March 24, 2011

Movin' March - Walk and Wheels Day

Students from Greytown School decorated the school gate with their old shoes.

Room 11 recorded their statistical investigation about how they travel to school by drawing around their feet and painting them a particular colour depending on if they come to school by walking (blue), biking (red), bus (yellow), Car (orange).

Sunday, February 6, 2011

Rahina 7 o Hui-Tanguru

Here is the link to today's You Tube warm-up: The Hippo Jungle Song.

Tuesday, February 1, 2011

Raapa 2 Hui-tanguru

Today is the first day of school for 2011. Room 11 have had a great day unfortunately the laptops were not charged so we will have to wait until tomorrow. Miss Morgan took a photo of our new class and we have posted it to our blog. We looked at some pictures and You Tube's about our adopted elephant - Sunyei. We looked at using iWeb to showcase our work this year. Now we have completed our first blog entry and day of 2011!! :o)